Monday, March 24, 2008

_Calculated crystals that have nothing to do with the piece_
********
# Gd5Bi3
Computed X-ray diffraction stick pattern, Cu Ka. Input: a DFT-relaxed cell (PBE, OQMD).

Structural model:
```
data_Gd5Bi3
_chemical_formula_sum 'Gd10 Bi6'
_symmetry_space_group_name_H-M 'P 63/m c m'
_symmetry_Int_Tables_number 193
_symmetry_space_group_name_Hall '-P 6c 2'
_cell_length_a 9.2443
_cell_length_b 9.2443
_cell_length_c 6.4080
_cell_angle_alpha 90.00
_cell_angle_beta 90.00
_cell_angle_gamma 120.00
loop_
_atom_site_label
_atom_site_fract_x
_atom_site_fract_y
_atom_site_fract_z
Gd1 0.0000 0.2430 0.2500
Gd2 0.3333 0.6667 0.0000
Bi1 0.0000 0.3900 0.7500
```

Largest 10 diffraction maxima, by intensity, 10° ≤ 2θ ≤ 90°:
(hkl)  2θ/deg  I (rel.)
2 1 1  32.7  100.0
1 1 2  34.0  72.9
3 0 0  33.6  48.8
2 1 3  52.4  31.7
2 1 0  29.5  23.4
0 0 2  27.8  22.9
5 0 2  65.1  20.6
3 1 1  43.1  18.9
2 2 2  48.6  17.1
0 0 4  57.5  17.0
********

Mostly Happy Easter

== Between two parts of the entry: materials data ==
........
The following is a theoretical XRD peak list of Ti3N4. It was derived from DFT lattice parameters and positions (PBE), using λ = 1.5418 Å (Cu Kα).

The 8 most intense peaks (5 to 70 degrees two-theta), most intense first:
- d 2.653, 33.8°, I = 100, (3 0 2)
- d 2.490, 36.1°, I = 65, (1 1 2)
- d 1.782, 51.3°, I = 45, (2 1 4)
- d 2.534, 35.4°, I = 37, (2 1 0)
- d 1.573, 58.7°, I = 36, (2 1 5)
- d 2.177, 41.5°, I = 34, (1 1 3)
- d 1.517, 61.1°, I = 32, (5 1 2)
- d 2.123, 42.6°, I = 25, (4 0 2)

Cell lengths 9.376, 3.012, 10.030 Å; angles 90.00, 90.00, 90.00 degrees
Space group Pnma (No. 62)
Asymmetric unit:
Ti (0.070, 0.250, 0.125) x4
Ti (0.109, 0.250, 0.593) x4
Ti (0.223, 0.250, 0.856) x4
N (0.009, 0.250, 0.774) x4
N (0.104, 0.750, 0.467) x4
N (0.141, 0.750, 0.984) x4
N (0.240, 0.750, 0.714) x4

---

The following is a theoretical XRD peak list of TiN2. It was derived from DFT lattice parameters and positions (PBE), using λ = 1.5418 Å (Cu Kα).

The 8 most intense peaks (5 to 70 degrees two-theta), most intense first:
- d 2.012, 45.0°, I = 100, (1 1 2)
- d 3.075, 29.0°, I = 46, (1 1 0)
- d 2.174, 41.5°, I = 45, (2 0 0)
- d 1.684, 54.5°, I = 27, (2 0 2)
- d 1.375, 68.2°, I = 21, (3 1 0)
- d 1.537, 60.2°, I = 12, (2 2 0)
- d 1.827, 49.9°, I = 9, (2 1 1)
- d 2.662, 33.7°, I = 6, (0 0 2)

Cell lengths 4.348, 4.348, 5.324 Å; angles 90.00, 90.00, 90.00 degrees
Space group I4/mcm (No. 140)
Asymmetric unit:
Ti (0.000, 0.000, 0.250) x4
N (0.113, 0.387, 0.000) x8

* * * * *

(1)
This entry pairs a crystal structure of Ce2Pa3Co4 with its theoretical powder diffraction line list. Radiation: Cu Kα, 1.54184 Å. Structure: a PBE-relaxed structure.

Top 10 peaks for 5° ≤ 2θ ≤ 70°, by angle:
2θ (°)  intensity
26.9  35.1
27.7  28.2
30.0  27.9
32.2  31.0
34.6  76.3
36.5  37.1
37.7  100.0
38.2  26.5
39.8  63.6
42.4  25.9

Cell and atoms:
Lattice parameters (Å, degrees): 7.0312 7.7029 7.1416 90.00 114.49 90.00
Fractional positions:
Ce1 0.1866 0.1793 0.0669
Ce2 0.1866 0.3207 0.5669
Ce3 0.8134 0.6793 0.4331
Ce4 0.8134 0.8207 0.9331
Pa1 0.2407 0.6567 0.2643
Pa2 0.2407 0.8433 0.7643
Pa3 0.5000 0.0000 0.5000
Pa4 0.5000 0.5000 0.0000
Pa5 0.7593 0.1567 0.2357
Pa6 0.7593 0.3433 0.7357
Co1 0.1032 0.5350 0.8778
Co2 0.1032 0.9650 0.3778
Co3 0.4974 0.6182 0.6354
Co4 0.4974 0.8818 0.1354
Co5 0.5026 0.1182 0.8646
Co6 0.5026 0.3818 0.3646
Co7 0.8968 0.0350 0.6222
Co8 0.8968 0.4650 0.1222

***

(2)
This entry pairs a crystal structure of TbDy2HoTm2 with its theoretical powder diffraction line list. Radiation: Cu Kα, 1.54184 Å. Structure: a PBE-relaxed structure.

Top 10 peaks for 5° ≤ 2θ ≤ 70°, by angle:
2θ (°)  intensity
25.8  7.0
31.9  90.7
32.2  100.0
41.7  11.7
46.0  33.1
53.0  8.2
57.2  23.2
57.4  24.5
63.4  28.9
67.5  8.0

Cell and atoms:
Lattice parameters (Å, degrees): 6.9061 9.5998 5.5627 90.00 90.00 90.00
Fractional positions:
Tb1 0.0000 0.0000 0.0000
Tb2 0.5000 0.5000 0.5000
Dy1 0.2494 0.3335 0.0000
Dy2 0.2506 0.8335 0.5000
Dy3 0.7494 0.1665 0.5000
Dy4 0.7506 0.6665 0.0000
........
== The entry goes on ==

I am a day late, but I hope all of you enjoyed lovely Easters with your families. We hosted two couples for Easter lunch, and we were all having such a nice time chatting that they stayed for an impromptu dinner too.

Today I am enjoying the novelty of a mostly clean house, due to the intensive cleaning which I did on Saturday while DH kept the children entertained and out of my hair. Most of the toys are put away, the shelves and cubbies are mostly organized, my laundry is mostly washed and my dishes are mostly clean. As I play catch-up today, it has occurred to me that "mostly" can describe the state of my house (you guessed it) most of the time! It's just impossible to attain a 100% clean and organized house with preschoolers, so I am learning to treasure the "mostly" moments like today that creep in quietly and exit with a sigh as the coming weeks wreak their havoc on our house.

My children are pushing my buttons now that it's the end of the day. It is certainly "the witching hour" in our house, that last part of the day when tempers are short and bodies are exhausted from a long day. They are both changing so much now though--another spurt of brain development and bodies stretching out. DS has moved up yet again in shoe size. I see echoes of the future when I'm going to be hard-pressed to keep this kid clothed. DD is trying out new behaviors on us, some received with considerable more attention than others. She is picking up the unsavory habit of talking back at school, and so we have instituted a new behavior board in her room and she can earn points, or lose points, for her behavior. If she earns enough points, she can buy rewards, ranging from candy bars to a trip to Red Robin. Heady stuff for a three year old!

I'm trying to retrain myself after falling off the wagon again with Easter decorating and clothing madness. Still doing the LBYM thing, we just didn't do so well this month on the old debt snowball. Two steps forward, etc, so I'm putting it behind me and moving on. On the plus side, we are going to be booking our trip to Ireland to visit DH's family this week, so I'm excited about that! The in-laws got tired of waiting for us to book, as we were adamant about not spending more than we've saved on airfare. So, they have chipped in basically the price difference between our budget and what flights are going for now, and we are going to be able to book! They want those dates fixed so they can enjoy their anticipation of our visit, and that's fine by me--hey, they are paying for the privilege! Now I just have to get online and find a good deal on those GoGo Babyz Travelmate things to make life easier in the airports with the carseats. One transatlantic flight without such a device has convinced us it is worthwhile to invest in two!

So that's where I'm at, head-space wise. My parents arrive on Friday for a week's visit, which will be really nice. I'd like to find money in the budget to go out to dinner with DH, but it's not there at the moment so unless my parents offer us some cash and a night out on them, it won't be happening. That's okay. I'll just be happy for a good family visit with no fighting between my brother, his wife, or my parents. And I will probably settle for a mostly good visit. And that's okay.

1 comment:

Mother of Chaos said...

Oh noooo, not the 'talking back' thing!! Oh, I hate that one, I really, really hate it. Danger Mouse had one (1) friend who sassed her mom, and breaking that kid of trying it out on me was murder. Almost literally!